Please type out the rows further down without altering anything.
-- begin --
No. 1
Entry from the Alexandria database: crystalline PmSm2ScSe6 at its relaxed geometry (PBE-GGA).

Spin magnetization   0.0000 μB per atom
ΔE_f (raw)   -17.9 eV/f.u.
V   294.53 Å³ per cell

abc: 7.7008 7.7008 7.7008
angles: 56.20 56.20 56.20
Closest atoms and distances in Å follow each position.
Atoms (fractional coordinates):
1 Pm 0.0000 0.0000 0.0000  6 Se 2.89-2.98
2 Sm 0.2968 0.2968 0.2968  6 Se 2.92-2.97
3 Sm 0.8007 0.8007 0.8007  6 Se 2.89-2.98
4 Sc 0.4951 0.4951 0.4951  6 Se 2.73-2.76
5 Se 0.1149 0.7003 0.3971  1 Sc 2.76, 2 Sm 2.89-2.97, 1 Pm 2.89
6 Se 0.2270 0.6021 0.8720  1 Sc 2.73, 2 Sm 2.92-2.98, 1 Pm 2.98
7 Se 0.3971 0.1149 0.7003  1 Sc 2.76, 2 Sm 2.89-2.97, 1 Pm 2.89
8 Se 0.6021 0.8720 0.2270  1 Sc 2.73, 2 Sm 2.92-2.98, 1 Pm 2.98
9 Se 0.7003 0.3971 0.1149  1 Sc 2.76, 2 Sm 2.89-2.97, 1 Pm 2.89
10 Se 0.8720 0.2270 0.6021  1 Sc 2.73, 2 Sm 2.92-2.98, 1 Pm 2.98


No. 2
Entry from the Alexandria database: crystalline Pm2SmScSe4 at its relaxed geometry (PBE-GGA).

Spin magnetization   0.0000 μB per atom
ΔE_f (raw)   -14.0 eV/f.u.
V   197.51 Å³ per cell

abc: 7.1363 4.0676 7.1908
angles: 90.00 108.87 90.00
Closest atoms and distances in Å follow each position.
Atoms (fractional coordinates):
1 Pm 0.0000 0.0000 0.0000  6 Se 3.02
2 Pm 0.5000 0.5000 0.0000  6 Se 2.92-2.93
3 Sm 0.0000 0.5000 0.5000  6 Se 2.90-2.91
4 Sc 0.5000 0.0000 0.5000  6 Se 2.81
5 Se 0.2575 0.0000 0.7396  1 Sc 2.81, 2 Sm 2.90, 3 Pm 2.92-3.02
6 Se 0.2670 0.5000 0.2683  2 Sc 2.81, 1 Sm 2.91, 3 Pm 2.93-3.02
7 Se 0.7330 0.5000 0.7317  2 Sc 2.81, 1 Sm 2.91, 3 Pm 2.93-3.02
8 Se 0.7425 0.0000 0.2604  1 Sc 2.81, 2 Sm 2.90, 3 Pm 2.92-3.02


No. 3
Entry from the Alexandria database: crystalline PmSm3Sc2Se6 at its relaxed geometry (PBE-GGA).

Spin magnetization   0.0000 μB per atom
ΔE_f (raw)   -20.8 eV/f.u.
V   288.48 Å³ per cell

abc: 7.0578 7.0578 7.1005
angles: 99.53 99.53 120.16
Closest atoms and distances in Å follow each position.
Atoms (fractional coordinates):
1 Pm 0.0000 0.0000 0.0000  6 Se 2.90-2.94
2 Sm 0.1576 0.8424 0.5000  6 Se 2.92-2.99
3 Sm 0.5000 0.5000 0.5000  6 Se 2.88-2.99
4 Sm 0.8424 0.1576 0.5000  6 Se 2.92-2.99
5 Sc 0.3351 0.6649 0.0000  6 Se 2.75-2.80
6 Sc 0.6649 0.3351 0.0000  6 Se 2.75-2.80
7 Se 0.0783 0.4287 0.2370  2 Sc 2.79-2.80, 3 Sm 2.92-2.99, 1 Pm 2.94
8 Se 0.2731 0.2731 0.7705  2 Sc 2.75, 3 Sm 2.88-2.94, 1 Pm 2.90
9 Se 0.4287 0.0783 0.2370  2 Sc 2.79-2.80, 3 Sm 2.92-2.99, 1 Pm 2.94
10 Se 0.5713 0.9217 0.7630  2 Sc 2.79-2.80, 3 Sm 2.92-2.99, 1 Pm 2.94
11 Se 0.7269 0.7269 0.2295  2 Sc 2.75, 3 Sm 2.88-2.94, 1 Pm 2.90
12 Se 0.9217 0.5713 0.7630  2 Sc 2.79-2.80, 3 Sm 2.92-2.99, 1 Pm 2.94


Question: ΔE_f (raw) of number 3 (PmSm3Sc2Se6)?
Answer: -20.8 eV/f.u.


Question: Look up the V of the first one.
Answer: 294.53 Å³ per cell

----------

Computed, not measured: a geometry-optimized BaHgO2 structure at the GGA-PBE level of DFT.

Summary:
Density of states at the Fermi level in states/eV/cell: 0.00
Uncorrected formation energy in kcal/mol of atoms: -35.4
SG: P6_322, No. 182

Unit cell a=6.9817 b=6.9817 c=12.6798 alpha=90.00 beta=90.00 gamma=120.00
Last column: nearest neighbours and their distance in Å.
Sites, in units of the cell vectors:
Hg 0.1748 0.8252 0.2500  2 O 2.02
Hg 0.6503 0.8252 0.2500  2 O 2.02
Hg 0.8252 0.1748 0.7500  2 O 2.02
Hg 0.3497 0.1748 0.7500  2 O 2.02
Hg 0.8252 0.6503 0.7500  2 O 2.02
Hg 0.1748 0.3497 0.2500  2 O 2.02
O 0.6501 0.6874 0.1098  1 Hg 2.02
O 0.6874 0.6501 0.8902  1 Hg 2.02
O 0.0373 0.3499 0.1098  1 Hg 2.02
O 0.3499 0.0373 0.8902  1 Hg 2.02
O 0.6874 0.0373 0.6098  1 Hg 2.02
O 0.3126 0.9627 0.1098  1 Hg 2.02
O 0.0373 0.6874 0.3902  1 Hg 2.02
O 0.6501 0.9627 0.3902  1 Hg 2.02
-- stop --
No. 1
Entry from the Alexandria database: crystalline PmSm2ScSe6 at its relaxed geometry (PBE-GGA).

Spin magnetization   0.0000 μB per atom
ΔE_f (raw)   -17.9 eV/f.u.
V   294.53 Å³ per cell

abc: 7.7008 7.7008 7.7008
angles: 56.20 56.20 56.20
Closest atoms and distances in Å follow each position.
Atoms (fractional coordinates):
1 Pm 0.0000 0.0000 0.0000  6 Se 2.89-2.98
2 Sm 0.2968 0.2968 0.2968  6 Se 2.92-2.97
3 Sm 0.8007 0.8007 0.8007  6 Se 2.89-2.98
4 Sc 0.4951 0.4951 0.4951  6 Se 2.73-2.76
5 Se 0.1149 0.7003 0.3971  1 Sc 2.76, 2 Sm 2.89-2.97, 1 Pm 2.89
6 Se 0.2270 0.6021 0.8720  1 Sc 2.73, 2 Sm 2.92-2.98, 1 Pm 2.98
7 Se 0.3971 0.1149 0.7003  1 Sc 2.76, 2 Sm 2.89-2.97, 1 Pm 2.89
8 Se 0.6021 0.8720 0.2270  1 Sc 2.73, 2 Sm 2.92-2.98, 1 Pm 2.98
9 Se 0.7003 0.3971 0.1149  1 Sc 2.76, 2 Sm 2.89-2.97, 1 Pm 2.89
10 Se 0.8720 0.2270 0.6021  1 Sc 2.73, 2 Sm 2.92-2.98, 1 Pm 2.98


No. 2
Entry from the Alexandria database: crystalline Pm2SmScSe4 at its relaxed geometry (PBE-GGA).

Spin magnetization   0.0000 μB per atom
ΔE_f (raw)   -14.0 eV/f.u.
V   197.51 Å³ per cell

abc: 7.1363 4.0676 7.1908
angles: 90.00 108.87 90.00
Closest atoms and distances in Å follow each position.
Atoms (fractional coordinates):
1 Pm 0.0000 0.0000 0.0000  6 Se 3.02
2 Pm 0.5000 0.5000 0.0000  6 Se 2.92-2.93
3 Sm 0.0000 0.5000 0.5000  6 Se 2.90-2.91
4 Sc 0.5000 0.0000 0.5000  6 Se 2.81
5 Se 0.2575 0.0000 0.7396  1 Sc 2.81, 2 Sm 2.90, 3 Pm 2.92-3.02
6 Se 0.2670 0.5000 0.2683  2 Sc 2.81, 1 Sm 2.91, 3 Pm 2.93-3.02
7 Se 0.7330 0.5000 0.7317  2 Sc 2.81, 1 Sm 2.91, 3 Pm 2.93-3.02
8 Se 0.7425 0.0000 0.2604  1 Sc 2.81, 2 Sm 2.90, 3 Pm 2.92-3.02


No. 3
Entry from the Alexandria database: crystalline PmSm3Sc2Se6 at its relaxed geometry (PBE-GGA).

Spin magnetization   0.0000 μB per atom
ΔE_f (raw)   -20.8 eV/f.u.
V   288.48 Å³ per cell

abc: 7.0578 7.0578 7.1005
angles: 99.53 99.53 120.16
Closest atoms and distances in Å follow each position.
Atoms (fractional coordinates):
1 Pm 0.0000 0.0000 0.0000  6 Se 2.90-2.94
2 Sm 0.1576 0.8424 0.5000  6 Se 2.92-2.99
3 Sm 0.5000 0.5000 0.5000  6 Se 2.88-2.99
4 Sm 0.8424 0.1576 0.5000  6 Se 2.92-2.99
5 Sc 0.3351 0.6649 0.0000  6 Se 2.75-2.80
6 Sc 0.6649 0.3351 0.0000  6 Se 2.75-2.80
7 Se 0.0783 0.4287 0.2370  2 Sc 2.79-2.80, 3 Sm 2.92-2.99, 1 Pm 2.94
8 Se 0.2731 0.2731 0.7705  2 Sc 2.75, 3 Sm 2.88-2.94, 1 Pm 2.90
9 Se 0.4287 0.0783 0.2370  2 Sc 2.79-2.80, 3 Sm 2.92-2.99, 1 Pm 2.94
10 Se 0.5713 0.9217 0.7630  2 Sc 2.79-2.80, 3 Sm 2.92-2.99, 1 Pm 2.94
11 Se 0.7269 0.7269 0.2295  2 Sc 2.75, 3 Sm 2.88-2.94, 1 Pm 2.90
12 Se 0.9217 0.5713 0.7630  2 Sc 2.79-2.80, 3 Sm 2.92-2.99, 1 Pm 2.94


Question: ΔE_f (raw) of number 3 (PmSm3Sc2Se6)?
Answer: -20.8 eV/f.u.


Question: Look up the V of the first one.
Answer: 294.53 Å³ per cell

----------

Computed, not measured: a geometry-optimized BaHgO2 structure at the GGA-PBE level of DFT.

Summary:
Density of states at the Fermi level in states/eV/cell: 0.00
Uncorrected formation energy in kcal/mol of atoms: -35.4
SG: P6_322, No. 182

Unit cell a=6.9817 b=6.9817 c=12.6798 alpha=90.00 beta=90.00 gamma=120.00
Last column: nearest neighbours and their distance in Å.
Sites, in units of the cell vectors:
Hg 0.1748 0.8252 0.2500  2 O 2.02
Hg 0.6503 0.8252 0.2500  2 O 2.02
Hg 0.8252 0.1748 0.7500  2 O 2.02
Hg 0.3497 0.1748 0.7500  2 O 2.02
Hg 0.8252 0.6503 0.7500  2 O 2.02
Hg 0.1748 0.3497 0.2500  2 O 2.02
O 0.6501 0.6874 0.1098  1 Hg 2.02
O 0.6874 0.6501 0.8902  1 Hg 2.02
O 0.0373 0.3499 0.1098  1 Hg 2.02
O 0.3499 0.0373 0.8902  1 Hg 2.02
O 0.6874 0.0373 0.6098  1 Hg 2.02
O 0.3126 0.9627 0.1098  1 Hg 2.02
O 0.0373 0.6874 0.3902  1 Hg 2.02
O 0.6501 0.9627 0.3902  1 Hg 2.02